What to do >
It remains to retype all of the calculation results below unchanged.

Data >
********
This record from the OMol25 dataset describes C2H3NO2S2 in the gas phase at a distorted geometry. The level of theory is wB97M-V/def2-TZVPD.

## Properties
- Max |F|: 0.0600 Eh/bohr
- Frontier orbital gap: 8.1 eV
- SMILES string: O=C(NO)C(=S)S

Geometry as XYZ:
```
10
Properties=species:S:1:pos:R:3:forces:R:3:lowdin_charge:R:1
C -0.75546 -0.26987 -0.09044 -1.10 -1.05 -0.56 -0.553
C 0.57223 0.38568 0.18879 0.90 0.02 -0.04 -1.107
H -2.60933 -1.46643 -0.65643 1.32 -0.60 -0.60 0.132
H 0.09709 -1.83001 -1.18500 1.14 -0.67 -0.57 0.089
H -0.86630 1.74280 1.24818 0.11 0.10 0.05 -0.091
N -0.71204 -1.41049 -0.83195 -1.77 2.05 1.48 0.007
O -1.91435 -2.02238 -1.13866 -0.69 0.62 0.58 0.003
O -1.84122 0.17303 0.31442 0.88 -0.38 -0.35 -0.008
S 0.48130 1.82181 1.14496 -0.23 -0.31 -0.18 0.837
S 1.98787 -0.22637 -0.36866 -0.55 0.23 0.20 0.691
```
Positions in Å, forces in eV/Å.

~~~~~

{
  "formula": "C5H9NO",
  "method": "wB97M-V/def2-TZVPD",
  "energy_ev": -8864.44787,
  "e_above_lowest_kcal_mol": 109.9,
  "largest_force_ev_per_a": 0.42,
  "spin_multiplicity": 1,
  "gap_ev": 8.5,
  "symbols": ["C", "C", "C", "C", "O", "C", "N", "H", "H", "H", "H", "H", "H", "H", "H", "H"],
  "positions_angstrom": [[-1.88, 0.03, 1.44], [-0.47, 0.37, 1.16], [0.72, -1.23, -1.12], [-0.28, 1.19, -0.04], [1.05, 1.15, -0.55], [1.60, -0.11, -0.62], [2.82, -0.31, -0.39], [-2.16, 0.56, 2.36], [-2.64, 0.23, 0.66], [-1.91, -1.02, 1.73], [1.11, -2.18, -0.76], [-0.33, -1.15, -0.83], [0.74, -1.24, -2.22], [-0.43, 2.21, 0.35], [-1.01, 1.06, -0.86], [3.25, 0.57, -0.09]]
}

~~~~~

The following is a quantum chemistry calculation of 9 unconnected molecules or ions with the total composition C36H74O18 at a distorted geometry, from OMol25.

```
128
Properties=species:S:1:pos:R:3:forces:R:3
C 0.737 5.146 -4.612 -0.2 -0.5 -1.2
O 0.886 3.739 -4.474 0.3 0.6 0.5
C 2.046 3.339 -3.775 0.2 -1.2 -0.7
C 2.281 1.841 -4.072 0.0 0.4 1.9
O 3.068 1.514 -5.171 -0.4 0.4 -0.5
C 2.445 1.696 -6.431 0.8 0.2 -0.7
H 0.208 5.626 -3.790 0.2 0.0 0.2
H 0.148 5.255 -5.526 -0.2 0.2 0.2
H 1.693 5.618 -4.854 0.1 0.1 0.4
H 1.997 3.428 -2.683 -0.5 0.2 0.1
H 2.937 3.900 -4.079 -0.1 0.1 -0.2
H 1.337 1.292 -3.985 -0.1 0.1 -0.5
H 2.836 1.489 -3.193 0.1 -0.1 -0.2
H 1.695 0.938 -6.657 0.0 -0.1 0.2
H 3.276 1.638 -7.138 -0.2 -0.4 -0.1
H 2.021 2.683 -6.635 -0.2 0.1 0.7
C -8.066 -2.445 2.305 -0.8 -0.2 -0.6
O -6.757 -2.864 2.095 0.6 -0.3 0.7
C -6.381 -3.006 0.737 -0.7 0.5 0.4
C -4.909 -3.297 0.695 1.1 -0.5 0.3
O -4.120 -2.120 0.576 -0.5 0.3 0.3
C -2.768 -2.320 0.847 1.1 1.7 -0.2
H -8.334 -2.654 3.339 0.2 0.3 0.1
H -8.792 -3.007 1.696 0.2 -0.2 -0.1
H -8.227 -1.396 2.025 0.2 0.1 0.3
H -6.668 -2.054 0.270 0.4 -0.3 -0.6
H -6.971 -3.827 0.309 0.2 0.1 -0.2
H -4.617 -4.005 -0.085 -0.4 0.2 -0.3
H -4.613 -3.815 1.616 -0.3 0.1 0.2
H -2.278 -2.900 0.062 0.1 -0.7 0.4
H -2.478 -2.503 1.890 -0.6 -1.3 0.0
H -2.237 -1.354 0.800 -0.6 0.3 -0.7
C -4.896 -5.911 -1.959 -0.3 0.1 -0.3
O -5.582 -4.703 -2.238 0.4 -0.1 -0.4
C -4.965 -3.995 -3.306 0.2 1.1 0.4
C -3.721 -3.237 -2.772 -0.2 -1.0 -0.5
O -3.275 -2.255 -3.663 -0.6 1.1 -0.6
C -1.960 -1.807 -3.403 0.7 -1.4 0.7
H -5.394 -6.332 -1.087 0.3 -0.1 0.1
H -3.826 -5.748 -1.805 -0.1 0.0 0.4
H -4.985 -6.603 -2.806 -0.1 -0.1 0.1
H -5.677 -3.230 -3.611 -0.1 -0.1 -0.2
H -4.728 -4.655 -4.142 0.0 0.0 -0.1
H -2.914 -3.975 -2.692 0.1 0.0 0.6
H -4.064 -2.837 -1.816 0.5 0.2 0.2
H -1.618 -0.924 -3.933 -0.7 0.1 -0.3
H -1.274 -2.619 -3.670 0.2 0.0 -0.1
H -1.784 -1.657 -2.335 -0.2 0.3 0.1
C 4.979 -0.633 -2.738 1.0 -1.0 0.7
O 4.485 -0.856 -1.423 -1.4 0.2 -0.3
C 5.105 -1.917 -0.719 0.0 0.7 -0.2
C 4.885 -3.311 -1.285 1.8 0.0 -0.5
O 5.267 -4.282 -0.310 -1.2 0.0 0.3
C 4.167 -5.102 0.059 0.2 -0.6 -0.4
H 4.956 -1.559 -3.320 -0.3 0.1 -0.2
H 6.047 -0.404 -2.619 0.0 0.4 -0.4
H 4.424 0.146 -3.245 0.0 0.1 0.2
H 4.668 -1.896 0.280 0.3 0.0 0.1
H 6.165 -1.632 -0.720 0.2 -0.6 0.5
H 5.645 -3.485 -2.054 -0.4 0.2 -0.5
H 3.893 -3.389 -1.735 -0.2 -0.3 0.4
H 4.494 -5.882 0.744 0.2 0.3 0.3
H 3.813 -5.659 -0.816 -0.2 0.2 -0.1
********

Result >
This record from the OMol25 dataset describes C2H3NO2S2 in the gas phase at a distorted geometry. The level of theory is wB97M-V/def2-TZVPD.

## Properties
- Max |F|: 0.0600 Eh/bohr
- Frontier orbital gap: 8.1 eV
- SMILES string: O=C(NO)C(=S)S

Geometry as XYZ:
```
10
Properties=species:S:1:pos:R:3:forces:R:3:lowdin_charge:R:1
C -0.75546 -0.26987 -0.09044 -1.10 -1.05 -0.56 -0.553
C 0.57223 0.38568 0.18879 0.90 0.02 -0.04 -1.107
H -2.60933 -1.46643 -0.65643 1.32 -0.60 -0.60 0.132
H 0.09709 -1.83001 -1.18500 1.14 -0.67 -0.57 0.089
H -0.86630 1.74280 1.24818 0.11 0.10 0.05 -0.091
N -0.71204 -1.41049 -0.83195 -1.77 2.05 1.48 0.007
O -1.91435 -2.02238 -1.13866 -0.69 0.62 0.58 0.003
O -1.84122 0.17303 0.31442 0.88 -0.38 -0.35 -0.008
S 0.48130 1.82181 1.14496 -0.23 -0.31 -0.18 0.837
S 1.98787 -0.22637 -0.36866 -0.55 0.23 0.20 0.691
```
Positions in Å, forces in eV/Å.

~~~~~

{
  "formula": "C5H9NO",
  "method": "wB97M-V/def2-TZVPD",
  "energy_ev": -8864.44787,
  "e_above_lowest_kcal_mol": 109.9,
  "largest_force_ev_per_a": 0.42,
  "spin_multiplicity": 1,
  "gap_ev": 8.5,
  "symbols": ["C", "C", "C", "C", "O", "C", "N", "H", "H", "H", "H", "H", "H", "H", "H", "H"],
  "positions_angstrom": [[-1.88, 0.03, 1.44], [-0.47, 0.37, 1.16], [0.72, -1.23, -1.12], [-0.28, 1.19, -0.04], [1.05, 1.15, -0.55], [1.60, -0.11, -0.62], [2.82, -0.31, -0.39], [-2.16, 0.56, 2.36], [-2.64, 0.23, 0.66], [-1.91, -1.02, 1.73], [1.11, -2.18, -0.76], [-0.33, -1.15, -0.83], [0.74, -1.24, -2.22], [-0.43, 2.21, 0.35], [-1.01, 1.06, -0.86], [3.25, 0.57, -0.09]]
}

~~~~~

The following is a quantum chemistry calculation of 9 unconnected molecules or ions with the total composition C36H74O18 at a distorted geometry, from OMol25.

```
128
Properties=species:S:1:pos:R:3:forces:R:3
C 0.737 5.146 -4.612 -0.2 -0.5 -1.2
O 0.886 3.739 -4.474 0.3 0.6 0.5
C 2.046 3.339 -3.775 0.2 -1.2 -0.7
C 2.281 1.841 -4.072 0.0 0.4 1.9
O 3.068 1.514 -5.171 -0.4 0.4 -0.5
C 2.445 1.696 -6.431 0.8 0.2 -0.7
H 0.208 5.626 -3.790 0.2 0.0 0.2
H 0.148 5.255 -5.526 -0.2 0.2 0.2
H 1.693 5.618 -4.854 0.1 0.1 0.4
H 1.997 3.428 -2.683 -0.5 0.2 0.1
H 2.937 3.900 -4.079 -0.1 0.1 -0.2
H 1.337 1.292 -3.985 -0.1 0.1 -0.5
H 2.836 1.489 -3.193 0.1 -0.1 -0.2
H 1.695 0.938 -6.657 0.0 -0.1 0.2
H 3.276 1.638 -7.138 -0.2 -0.4 -0.1
H 2.021 2.683 -6.635 -0.2 0.1 0.7
C -8.066 -2.445 2.305 -0.8 -0.2 -0.6
O -6.757 -2.864 2.095 0.6 -0.3 0.7
C -6.381 -3.006 0.737 -0.7 0.5 0.4
C -4.909 -3.297 0.695 1.1 -0.5 0.3
O -4.120 -2.120 0.576 -0.5 0.3 0.3
C -2.768 -2.320 0.847 1.1 1.7 -0.2
H -8.334 -2.654 3.339 0.2 0.3 0.1
H -8.792 -3.007 1.696 0.2 -0.2 -0.1
H -8.227 -1.396 2.025 0.2 0.1 0.3
H -6.668 -2.054 0.270 0.4 -0.3 -0.6
H -6.971 -3.827 0.309 0.2 0.1 -0.2
H -4.617 -4.005 -0.085 -0.4 0.2 -0.3
H -4.613 -3.815 1.616 -0.3 0.1 0.2
H -2.278 -2.900 0.062 0.1 -0.7 0.4
H -2.478 -2.503 1.890 -0.6 -1.3 0.0
H -2.237 -1.354 0.800 -0.6 0.3 -0.7
C -4.896 -5.911 -1.959 -0.3 0.1 -0.3
O -5.582 -4.703 -2.238 0.4 -0.1 -0.4
C -4.965 -3.995 -3.306 0.2 1.1 0.4
C -3.721 -3.237 -2.772 -0.2 -1.0 -0.5
O -3.275 -2.255 -3.663 -0.6 1.1 -0.6
C -1.960 -1.807 -3.403 0.7 -1.4 0.7
H -5.394 -6.332 -1.087 0.3 -0.1 0.1
H -3.826 -5.748 -1.805 -0.1 0.0 0.4
H -4.985 -6.603 -2.806 -0.1 -0.1 0.1
H -5.677 -3.230 -3.611 -0.1 -0.1 -0.2
H -4.728 -4.655 -4.142 0.0 0.0 -0.1
H -2.914 -3.975 -2.692 0.1 0.0 0.6
H -4.064 -2.837 -1.816 0.5 0.2 0.2
H -1.618 -0.924 -3.933 -0.7 0.1 -0.3
H -1.274 -2.619 -3.670 0.2 0.0 -0.1
H -1.784 -1.657 -2.335 -0.2 0.3 0.1
C 4.979 -0.633 -2.738 1.0 -1.0 0.7
O 4.485 -0.856 -1.423 -1.4 0.2 -0.3
C 5.105 -1.917 -0.719 0.0 0.7 -0.2
C 4.885 -3.311 -1.285 1.8 0.0 -0.5
O 5.267 -4.282 -0.310 -1.2 0.0 0.3
C 4.167 -5.102 0.059 0.2 -0.6 -0.4
H 4.956 -1.559 -3.320 -0.3 0.1 -0.2
H 6.047 -0.404 -2.619 0.0 0.4 -0.4
H 4.424 0.146 -3.245 0.0 0.1 0.2
H 4.668 -1.896 0.280 0.3 0.0 0.1
H 6.165 -1.632 -0.720 0.2 -0.6 0.5
H 5.645 -3.485 -2.054 -0.4 0.2 -0.5
H 3.893 -3.389 -1.735 -0.2 -0.3 0.4
H 4.494 -5.882 0.744 0.2 0.3 0.3
H 3.813 -5.659 -0.816 -0.2 0.2 -0.1